Spiritual Guidance and Energy Healing with Arkellah

I am a modern-day medicine woman, meaning I dance between ancient and contemporary healing techniques, honouring the old while opening to the new. As a qualified senior yoga teacher, energy healer and spiritual guidance coach, I call upon the presence of ancient God and Goddess archetypes, Spirit Guides and Nature Spirits to help people travel to inner worlds. Here they can explore how different emotions and states of being can be observed, altered and then embodied.

I am completely passionate and committed to leading change with my heart and focus my healing guidance on unlocking patterns that hold people back from being their highest versions of themselves. I nurture and honour people while I stand in the centre of energetic transformation processes, being an anchor for others to explore areas of their inner world that they haven’t felt they could by themselves.

I offer non-conventional views on perspectives, supporting people to make shifts in their awareness, both of themselves and the world outside of them. I show people a way to reconnect with their heart’s wisdom while partnering up with the mind as an ally instead of a foe.

In healings, I enter a state of flow and trance consciousness, where is where we can see energy and know that all things are divinely connected by this lifeforce energy, what in yoga we call Prana. This state is known to be accessed by traditional cultural healers and Shamans as well as some of the most elite armed forces and entrepreneurs, musicians, artists and thought leaders. In flow state all possibilities are available through becoming aware that we are connected to everything, we rise to be the highest version of ourselves. This inspired state acts like a beacon of light, guiding us with strong intuition and power, making the ‘difficult shifts’ in our spiritual and personal development worth it and easy.

My work reaches across Australia and Bali, and online globally. You can book for an in person session of Spiritual Guidance and Energy Work or online.

How my work has impacted people

I support people, particularly women, to re-claim their sacred, divine selves and live life through a inspired state of being.

-- begin --
Entry 1:
Here is an optimized crystal structure of TiNbRh6 from Alexandria. Energies are from PBE.

**DFT formation energy**: -0.55 eV per atom
**Total magnetization**: 0.00 μB per formula unit
**DOS at the Fermi energy**: 1.194 states/eV/atom
**Symmetry**: P-6m2 (187)

a = 5.534 Å, b = 5.534 Å, c = 4.419 Å
α = 90.00°, β = 90.00°, γ = 120.00°
Fractional positions:
Ti  0.000  0.000  0.000
Nb  0.667  0.333  0.500
Rh  0.004  0.502  0.000
Rh  0.167  0.334  0.500
Rh  0.167  0.833  0.500
Rh  0.498  0.502  0.000
Rh  0.498  0.996  0.000
Rh  0.666  0.833  0.500


Entry 2:
Here is an optimized crystal structure of TlCoAg2Cl6 from Alexandria. Energies are from PBE.

**Formation energy without anion corrections**: -591 meV per atom
**Total magnetization**: 4.06 μB per formula unit
**DOS at the Fermi energy**: 0.622 states/eV/atom
**Symmetry**: C2/c (15)

a = 9.024 Å, b = 9.024 Å, c = 8.171 Å
α = 109.40°, β = 109.40°, γ = 83.93°
Fractional positions:
Tl  0.178  0.822  0.750
Tl  0.822  0.178  0.250
Co  0.178  0.822  0.250
Co  0.822  0.178  0.750
Ag  0.322  0.366  0.811
Ag  0.366  0.322  0.311
Ag  0.634  0.678  0.689
Ag  0.678  0.634  0.189
Cl  0.036  0.181  0.680
Cl  0.171  0.618  0.010
Cl  0.181  0.036  0.180
Cl  0.240  0.457  0.543
Cl  0.382  0.829  0.490
Cl  0.457  0.240  0.043
Cl  0.543  0.760  0.957
Cl  0.618  0.171  0.510
Cl  0.760  0.543  0.457
Cl  0.819  0.964  0.820
Cl  0.829  0.382  0.990
Cl  0.964  0.819  0.320


Entry 3:
Here is an optimized crystal structure of HgIrRu from Alexandria. Energies are from PBE.

**DFT formation energy**: 0.56 eV per atom
**Total magnetization**: 0.85 μB per formula unit
**DOS at the Fermi energy**: 1.112 states/eV/atom
**Symmetry**: Fmm2 (42)
**Energy above the lowest structure with this stoichiometry**: 266 meV per atom

a = 7.699 Å, b = 7.431 Å, c = 2.826 Å
α = 84.63°, β = 73.93°, γ = 21.44°
Fractional positions:
Hg  0.000  0.000  0.000
Ir  0.324  0.324  0.676
Ru  0.674  0.674  0.326


Which of these has the highest total magnetization? TlCoAg2Cl6

* * * * *

<one>
Below is an optimized crystal structure of Pr3NdPd, with properties calculated at the PBE-GGA level.

Summary:
- Spin magnetization: 0.0 μB per cell
- Symmetry: P2_1/c (14)

Cell and atoms, written as extended XYZ:
```
20
Lattice="-2.780 -0.183 -6.611 -1.264 -8.398 0.764 -8.841 4.990 3.580" Properties=species:S:1:pos:R:3 pbc="T T T"
Nd -9.125 -2.028 -0.146
Nd -6.897 1.017 2.724
Nd -5.989 -4.608 -4.991
Nd -3.760 -1.563 -2.120
Pr -1.518 -1.279 0.658
Pr -11.368 -2.311 -2.924
Pr -3.901 -7.276 -3.161
Pr -8.984 3.685 0.894
Pr -5.836 -2.025 0.747
Pr -7.050 -1.565 -3.013
Pr -11.340 0.938 -0.913
Pr -7.317 1.125 -0.830
Pr -3.967 1.230 0.524
Pr -5.568 -4.715 -1.436
Pr -8.919 -4.820 -2.790
Pr -1.545 -4.529 -1.354
Pd -7.249 -4.740 1.051
Pd -5.637 1.150 -3.318
Pd -2.698 -7.227 -0.429
Pd -10.188 3.636 -1.837
```

***

<two>
Below is an optimized crystal structure of Pr3NdPd, with properties calculated at the PBE-GGA level.

Summary:
-- stop --

Story of impact:

"I'm not typically moved to tears the moment I meet someone for the first time. I was when I met Arkellah. She felt breathtakingly familiar to me, as if I'd known her forever and we were being reunited after what also felt like forever. Within an instant, I felt deeply known, generously felt and profoundly seen. Over the time I've been working with her I've come to realize that the sense of familiarity I felt on meeting her, emanates from within her.

My experience of receiving divine feminine healing sessions from this extraordinary woman, spiritual coach and intuitive healer is that because she knows herself incredibly well, she also knows and sees you with a clarity that is lovingly gentle yet, simultaneously, mighty fierce. Arkellah's laser-like capacity to hone in and shine concentrated "light" on whatever you need to see, reveal or heal within yourself is, quite truly, second to none.

She offers compassion in helping you to recognize your humanity and inspires courage in calling your soul forth.  She asks exceptional questions, identifies blocks and limiting beliefs with ease, offers skilful and wise guidance and masterfully navigates "the mind" to make it safe to drop into your heart. Arkellah illuminates with stunning precision, holds space with the expansiveness of the ocean and heals with a power that can only be described as truly Divine.

Mia Handshin, Director, LeadersHP


Story of impact:

‘True self love transpires when you can take a hard look at yourself and learn to love your light and dark aspects. Our duality creates sacred balance within. Integrate your shadow for transformative illumination. Arkellah has taught me this and more.

Sally McEvoy, Trauma Response Specialist

What are energy healings?

Energy healings are often called Reiki, even when several healing modalities are applied. Reiki is an alternative therapy offered to those who are seeking a holistic healing session, unveiling the layers of body, mind, emotion, spirit and beyond. The word ‘Reiki’ means ‘mysterious atmosphere, miraculous sign’. It comes from the Japanese words “rei” (universal) and “ki” (life energy).

Reiki is a type of energy healing that targets the energy fields around the body. The Reiki energy itself is known to have an intelligence of its own, flowing where it is needed in the client and creating the healing conditions necessary for the individuals needs.

Energy healings are a powerful tool to tap into the energy layers of the body to ignite the healing process needed/ desired by the client. My Divine Feminine - energy healing treatments are gentle yet transformational treatments for people wanting to clear blocks, shift emotional pain, and balance their ‘bodies’ or layers. I work closely with the spiritual, emotional, mental and physical bodies of a client. My healings are often referred to as Shamanic. I do work with several different energies, including Shamanic, past life/ soul recalls, collecting soul fragments stuck in memories of persecution, trauma and more. I call in your spirit guides and mine, to offer the most supportive experience possible. I use dowsing rods, chakra clearing and balancing crystals, meditation, mantra and trance-like states to access and facilitate your healing. In essence, I provide a space and channel to support people to connect more closely with themselves - shifting out of ways that no longer serve and into more healthy patterns of being through facilitating energy transference from the 'universe', through me to you.

I have seen big shifts from all I have treated and I truly love experiencing the evolutions. For some it's a powerful time for realisations, for others it's like a gentle energy massage. Everyone experiences the treatments differently. The treatments are spiritually guided and fully clothed (given on a dedicated massage table), supported by blankets, pillows, crystals and essential oils.

Divine Feminine Energy Healings are a combination of Reiki, Seichem and Karuna healings, as well as my personal intuitive ‘medicine’ that comes through my guides to you. Sessions are held at my Inspire Yoga Studio, which is on an equine property, surrounded by nature, in the Adelaide Hills (Flaxley). The studio is dedicated to healing for the highest good and is only used for these purposes.

To arrange an appointment time scroll down to my bookings page below and find Energy Healings and the dates and times available or contact Arkellah on: Arkellah.inspireyoga@gmail.com . Investment is $120 hr/ $160/1.5hr.